-- Exercise --
Count the lines below that contain the word "theoretical" and give the number alone, please.

-- Excerpt --
____________
# Ce4Sb6Ru7
Theoretical X-ray diffraction stick pattern, λ = 1.5418 Å (Cu Kα). Input: DFT lattice parameters and positions (PBE).

Peak list (10 most intense, 15 to 90 degrees two-theta, by angle)
| two_theta | Rel. int. | h k l |
| --- | --- | --- |
| 28.7 | 14 | 2 2 0 |
| 32.1 | 11 | 3 1 0 |
| 35.3 | 100 | 2 2 2 |
| 38.2 | 15 | 3 2 1 |
| 41.0 | 61 | 4 0 0 |
| 43.6 | 18 | 3 3 0 |
| 48.5 | 18 | 3 3 2 |
| 59.4 | 29 | 4 4 0 |
| 71.0 | 23 | 6 2 2 |
| 80.1 | 11 | 6 3 3 |

Cell and atoms:
```
data_Ce4Sb6Ru7
_chemical_formula_sum 'Ce8 Sb12 Ru14'
_cell_length_a 8.8067
_cell_length_b 8.8067
_cell_length_c 8.8067
_cell_angle_alpha 90.00
_cell_angle_beta 90.00
_cell_angle_gamma 90.00
_symmetry_space_group_name_H-M 'I m -3 m'
_symmetry_Int_Tables_number 229
_symmetry_space_group_name_Hall '-I 4 2 3'
loop_
_atom_site_label
_atom_site_type_symbol
_atom_site_fract_x
_atom_site_fract_y
_atom_site_fract_z
_atom_site_occupancy
Ce1 Ce 0.2500 0.2500 0.2500 1
Sb1 Sb 0.0000 0.0000 0.3149 1
Ru1 Ru 0.0000 0.0000 0.0000 1
Ru2 Ru 0.0000 0.2500 0.5000 1
```


Entry 1:
This entry pairs a crystal structure of Na4CdGe2S7 with its theoretical XRD peak list. Radiation: Cu Kα. Structure: DFT lattice parameters and positions (GGA-PBE).
Lines closer than 0.1° are merged.

The 10 most intense peaks (2θ = 10–90°), sorted by position:
2θ 11.35, I = 92, hkl 0 0 2; 2θ 15.60, I = 91, hkl 1 1 1; 2θ 18.28, I = 55, hkl 1 1 -2; 2θ 22.61, I = 100, hkl 0 2 3; 2θ 25.51, I = 39, hkl 1 3 0; 2θ 26.20, I = 72, hkl 1 3 1; 2θ 31.20, I = 86, hkl 2 2 -2; 2θ 32.36, I = 44, hkl 0 2 5; 2θ 37.77, I = 49, hkl 1 1 6; 2θ 43.29, I = 59, hkl 1 5 -3

Lattice parameters (Å, degrees): 7.1314 12.0117 15.5926 90.00 90.94 90.00
Space group P2_1/c (No. 14)
Asymmetric unit:
Na (0.0229, 0.1684, 0.4491)
Na (0.1504, 0.0207, 0.8898)
Na (0.4024, 0.5184, 0.1369)
Na (0.4503, 0.7388, 0.4463)
Cd (0.2479, 0.1830, 0.2429)
Ge (0.0852, 0.5903, 0.8456)
Ge (0.3765, 0.6153, 0.6493)
S (0.0301, 0.5604, 0.2184)
S (0.1715, 0.1879, 0.6185)
S (0.1723, 0.6205, 0.5426)
S (0.2628, 0.7065, 0.7656)
S (0.2636, 0.5480, 0.9573)
S (0.3803, 0.2279, 0.8829)
S (0.4988, 0.0499, 0.1826)



Entry 2:
This entry pairs a crystal structure of Sc2AlGePt4 with its theoretical XRD peak list. Radiation: Cu Kα. Structure: DFT lattice parameters and positions (GGA-PBE).
Lines closer than 0.1° are merged.

The 10 most intense peaks (2θ = 10–90°), sorted by position:
2θ 24.66, I = 45, hkl 2 0 0; 2θ 26.45, I = 73, hkl 0 1 1; 2θ 34.23, I = 38, hkl 0 0 4; 2θ 36.03, I = 74, hkl 0 1 3; 2θ 36.48, I = 100, hkl 2 1 1; 2θ 41.29, I = 48, hkl 3 0 2; 2θ 42.64, I = 68, hkl 2 0 4; 2θ 44.15, I = 40, hkl 2 1 3; 2θ 46.37, I = 47, hkl 3 1 1; 2θ 67.92, I = 37, hkl 0 1 7

Lattice parameters (Å, degrees): 7.2190 3.5589 10.4795 90.00 90.00 90.00
Space group Amm2 (No. 38)
Asymmetric unit:
Sc (0.0000, 0.0000, 0.0000)
Sc (0.5000, 0.0000, 0.0767)
Al (0.0000, 0.0000, 0.2776)
Ge (0.5000, 0.0000, 0.7987)
Pt (0.2003, 0.0000, 0.6705)
Pt (0.2953, 0.0000, 0.4099)



Entry 3:
This entry pairs a crystal structure of U5Re3C8 with its theoretical XRD peak list. Radiation: Cu Kα. Structure: DFT lattice parameters and positions (GGA-PBE).
Lines closer than 0.1° are merged.

The 10 most intense peaks (2θ = 10–90°), sorted by position:
2θ 31.43, I = 41, hkl 4 0 0; 2θ 32.42, I = 35, hkl 4 1 0; 2θ 32.81, I = 16, hkl 2 1 1; 2θ 35.62, I = 100, hkl 2 2 1; 2θ 39.91, I = 15, hkl 3 2 1; 2θ 45.05, I = 11, hkl 4 4 0; 2θ 56.84, I = 14, hkl 6 1 1; 2θ 56.97, I = 10, hkl 0 0 2; 2θ 61.73, I = 16, hkl 6 3 1; 2θ 66.52, I = 11, hkl 4 0 2

Lattice parameters (Å, degrees): 11.3848 11.3848 3.2330 90.00 90.00 90.00
Space group P4/mbm (No. 127)
Asymmetric unit:
U (0.0000, 0.5000, 0.0000)
U (0.0423, 0.2284, 0.5000)
Re (0.0000, 0.0000, 0.0000)
Re (0.2042, 0.7042, 0.0000)
C (0.0975, 0.8479, 0.0000)
C (0.1171, 0.6171, 0.5000)
C (0.1539, 0.3461, 0.0000)



Entry 4:
____________

-- Outcome --
3